Work out how many lines underneath have the word "measured" in them; a number is enough.
- - -
Computed, not measured: a geometry-optimized ZrInIr2 structure at the PBE level of DFT.

The structure in POSCAR format:
```
ZrInIr2
1.0
5.263 -0.372 0.200
4.048 3.384 0.200
1.374 0.444 3.677
In Ir Zr
1 2 1
direct
0.250 0.250 0.250
0.000 0.000 0.000
0.750 0.750 0.750
0.500 0.500 0.500
```

Results
- ΔH_f (0 K): -0.47 eV/atom
- Fermi-level density of states: 1.07 states/eV/cell
- E: -7.72 eV/atom



Computed, not measured: a geometry-optimized TaRu2Au structure at the PBE level of DFT.

The structure in POSCAR format:
```
TaRu2Au
1.0
-1.639 -2.642 -3.259
1.143 -4.354 -0.158
-3.048 -3.166 0.987
Au Ru Ta
1 2 1
direct
0.500 0.500 0.500
0.000 0.000 0.000
0.750 0.750 0.750
0.250 0.250 0.250
```

Results
- ΔH_f (0 K): 0.29 eV/atom
- Fermi-level density of states: 5.55 states/eV/cell
- E: -8.13 eV/atom



Computed, not measured: a geometry-optimized TiCd2SbRh structure at the PBE level of DFT.

The structure in POSCAR format:
```
TiCd2SbRh
1.0
5.234 0.000 0.000
0.000 5.234 0.000
0.000 0.000 5.084
Sb Ti Rh Cd
1 1 1 2
direct
0.000 0.000 0.000
0.000 0.000 0.500
0.500 0.500 0.500
0.000 0.500 0.000
0.500 0.000 0.000
```

Results
- Fermi-level density of states: 6.80 states/eV/cell
- E: -3.09 eV/atom
- Formation energy (no corrections): 1.145 eV/atom



Computed, not measured: a geometry-optimized La4SmHo3 structure at the PBE level of DFT.

The structure in POSCAR format:
```
La4SmHo3
1.0
-4.379 0.564 -4.630
-1.767 -7.098 0.806
-8.075 2.918 7.993
La Sm Ho
8 2 6
direct
0.141 0.872 0.000
0.660 0.131 0.000
0.978 0.125 0.257
0.478 0.875 0.243
0.160 0.869 0.500
0.641 0.128 0.500
0.478 0.875 0.757
0.978 0.125 0.743
0.151 0.375 0.000
0.651 0.625 0.500
0.648 0.618 0.000
0.979 0.620 0.249
0.479 0.380 0.251
0.148 0.382 0.500
0.479 0.380 0.749
0.979 0.620 0.751
```

Results
- ΔH_f (0 K): 0.03 eV/atom
- Fermi-level density of states: 27.37 states/eV/cell
- E: -4.74 eV/atom



Computed, not measured: a geometry-optimized Zr2Sc structure at the PBE level of DFT.

The structure in POSCAR format:
```
Zr2Sc
1.0
5.852 0.000 0.000
2.926 5.068 0.000
0.000 0.000 9.737
Sc Zr
4 8
direct
0.667 0.667 0.057
0.667 0.667 0.443
0.333 0.333 0.557
0.333 0.333 0.943
0.000 0.000 0.000
0.000 0.000 0.500
0.828 0.343 0.750
0.343 0.828 0.750
0.172 0.172 0.250
0.828 0.828 0.750
0.657 0.172 0.250
0.172 0.657 0.250
```

Results
- ΔH_f (0 K): 0.23 eV/atom
- Fermi-level density of states: 25.14 states/eV/cell
- E: -7.58 eV/atom



Computed, not measured: a geometry-optimized TlSeBr structure at the PBE level of DFT.

The structure in POSCAR format:
```
TlSeBr
1.0
4.137 0.000 0.000
-2.069 3.583 0.000
0.000 0.000 6.673
Br Se Tl
1 1 1
direct
0.000 0.000 0.923
0.333 0.667 0.436
0.667 0.333 0.641
```

Results
- E: -2.78 eV/atom
- Formation energy (no corrections): -0.272 eV/atom



Computed, not measured: a geometry-optimized Nd5Er2Mg structure at the PBE level of DFT.

The structure in POSCAR format:
```
Nd5Er2Mg
1.0
1.785 -6.648 -1.883
6.663 2.274 -1.167
-3.018 1.141 6.365
Nd Er Mg
5 2 1
direct
0.278 0.278 0.500
0.279 0.779 0.000
0.777 0.277 0.000
0.778 0.778 0.500
0.278 0.278 0.000
0.277 0.777 0.498
0.779 0.279 0.502
0.778 0.778 0.000
```

Results
- ΔH_f (0 K): 0.01 eV/atom
- Fermi-level density of states: 7.78 states/eV/cell
- E: -4.31 eV/atom



Computed, not measured: a geometry-optimized CuMo2C structure at the PBE level of DFT.

The structure in POSCAR format:
```
CuMo2C
1.0
4.805 0.000 0.000
0.000 4.805 0.000
2.402 2.402 5.578
Mo C Cu
4 2 2
direct
0.534 0.125 0.250
0.216 0.625 0.250
0.375 0.466 0.750
0.875 0.784 0.750
0.500 0.500 0.000
0.250 0.750 0.500
0.000 0.000 0.000
0.750 0.250 0.500
```

Results
- ΔH_f (0 K): 1.03 eV/atom
- Fermi-level density of states: 6.78 states/eV/cell
- E: -7.72 eV/atom



Computed, not measured: a geometry-optimized Fe2SiCl structure at the PBE level of DFT.

The structure in POSCAR format:
```
Fe2SiCl
1.0
-3.621 0.155 -3.443
-2.372 -4.367 0.540
1.115 4.508 1.850
Cl Fe Si
1 2 1
direct
0.250 0.750 0.500
0.999 0.999 0.000
0.501 0.501 0.000
- - -
9